Forum topic: One outburst too many..

Calculated molecules, as found in the file
=====
(1)
ORCA calculation (ωB97M-V/def2-TZVPD) on a single C17H11ClF5N5OS molecule.

Output
- HOMO energy: -8.96 eV
- DFT total energy: -2361.0263 a.u.
- SMILES: NC1=N[C@](CF)(c2cc(NC(=O)c3cnc(Cl)cn3)cc(F)c2F)[C@H]2[C@@H](S1)C2(F)F
- LUMO: -0.897 eV
- Multiplicity: 1
- M: 463.819 g/mol

Each line ends with the natural charge from an NBO analysis.
Cartesian coordinates (Å):
N 0.464013 -1.964822 -3.588990  -0.8052
C -0.634189 -1.149358 -3.411375  0.3053
N -0.559246 -0.498842 -2.298484  -0.5443
C -1.526550 0.532342 -1.845045  0.0728
C -0.966547 1.951042 -2.471931  0.0731
F -1.353843 3.082140 -1.889127  -0.3438
C -1.578678 0.465933 -0.314695  -0.0847
C -0.630105 -0.359387 0.404897  -0.1693
C -0.433479 -0.187973 1.775822  0.1212
N 0.711978 -0.690033 2.419753  -0.5886
C 1.989356 -0.516332 1.863456  0.6237
O 2.182845 -0.153551 0.673945  -0.5850
C 3.174618 -0.455751 2.702583  0.0403
C 4.302136 0.335814 2.170387  0.0693
N 5.497611 0.429224 2.836483  -0.3793
C 5.618825 -0.267051 3.997425  0.1577
Cl 7.288711 -0.103474 4.597085  0.0271
C 4.529863 -0.933091 4.519482  -0.0440
N 3.300113 -0.994649 3.978101  -0.3570
C -1.192587 0.658846 2.488972  -0.2632
C -2.213643 1.438022 1.867881  0.3190
F -2.705366 2.477998 2.603042  -0.3084
C -2.419146 1.311094 0.511723  0.3762
F -3.419054 2.052161 0.042673  -0.3129
C -3.015380 0.438255 -2.400911  -0.2849
C -3.236061 -0.266751 -3.771775  -0.4271
S -1.983097 -1.322722 -4.547877  0.2588
C -3.766294 -0.865686 -2.498839  0.6679
F -5.097436 -0.815551 -2.343677  -0.3158
F -3.185520 -1.897426 -1.816657  -0.3171
H 0.787220 -2.226586 -2.700713  0.4097
H 0.382747 -2.612264 -4.387891  0.3876
H 0.156721 1.807684 -2.524681  0.1823
H -1.357165 2.059881 -3.501330  0.1608
H 0.050103 -1.126737 -0.031386  0.2615
H 0.793675 -0.546463 3.425128  0.4066
H 4.237589 0.691896 1.190487  0.2333
H 4.475652 -1.576188 5.469430  0.2281
H -0.988788 0.614573 3.577588  0.2192
H -3.623676 1.344558 -2.314674  0.2650
H -4.057924 -0.160776 -4.456287  0.2638

Force components x, y, z for each atom (eV/Å):
-1.488 0.032 -3.133
0.136 0.547 2.118
-1.642 1.283 -0.735
-0.992 0.204 -1.161
1.079 -2.878 -1.182
-0.314 1.119 1.602
0.853 -0.239 2.047
-0.263 0.339 -1.009
0.424 -0.090 -1.462
2.498 -0.692 0.258
-1.582 1.989 -3.277
-0.865 -1.492 2.333
3.707 0.853 2.750
0.198 -2.676 3.195
-2.238 -0.987 -0.127
0.631 1.793 -2.188
-1.506 -0.654 0.286
-1.315 -2.058 2.697
0.293 1.107 -3.386
-1.991 1.302 1.414
2.342 -0.554 1.558
-0.439 -1.074 -0.802
1.014 -0.763 -0.449
-0.154 0.366 -0.909
0.177 -0.265 -1.001
0.621 -2.606 0.941
0.521 0.716 -0.089
1.409 1.680 1.442
-0.124 -0.514 0.199
-0.842 0.175 -0.981
0.949 -0.816 0.852
0.439 0.170 1.198
-1.168 0.549 0.384
0.271 -0.748 0.193
-0.950 1.209 -0.306
-0.518 -0.356 -0.206
-0.041 0.924 -1.109
1.071 1.401 -1.241
-0.506 0.953 -0.664
0.331 -0.294 0.239
-0.024 1.046 -0.288

(2)
ORCA calculation (ωB97M-V/def2-TZVPD) on C4H5NO as an isolated structure.

Output
- HOMO energy: -9.33 eV
- DFT total energy: -285.2690 a.u.
- LUMO: 0.748 eV
=====

I don’t do a lot of posting here.  But, I’m pretty sure my marriage is coming to an end.  H is a really good guy.  Very attentive, loving partner and hands-on Dad.  But, his unpredictable angry outbursts have just about killed our relationship.  I’ve done all the research.  I know it’s flooding.  I know he never intends to lash out verbally at me or the kids.  I know it’s a neurological process that keeps him from filtering his emotions when he’s triggered.      

Does all of that matter?  Nope.  Because he hasn’t taken control of it.  And because we often have long periods of him NOT lashing out, it falls off his radar and he doesn’t think about it.  Until it happens again and I bring it back to his attention for the 4000th time.  So, it happened again.  Wasn’t the biggest outburst, but just kind of my last straw.  I did what I’m best at.  Retreating.  Ignoring.  Giving the silent treatment and moving into another bedroom.  When he gave me the indication he could talk (which is rare because talking to him is IMPOSSIBLE most of the time), I said I thought we should separate.  He asked me to hold off.  To let him try meds, this time for the long haul...not just at work or when he wants to get something done.  And he’s amenable to therapy.  He says he wants to change.  That his DIY self is frustrated because you can’t watch a YouTube video and DIY yourself out of ADHD.  He says he will get on board with a new psychiatrist who specializes in this, and he did reach out to one (although it took over a week).  But he showed me his email to the MD and said he has to start checking in with me so I feel part of the process.

Attached: records of molecules:
********
{"formula": "C25H61F3N2O13P2", "method": "ωB97M-V/def2-TZVPD", "de_lowest_kcal_mol": 67.3, "total_energy_ha": -3059.0998, "mol_weight_da": 716.7, "orbital_gap_ev": 5.332, "lumo_ha": -0.0211, "elements": ["P", "P", "F", "F", "F", "O", "O", "O", "O", "O", "O", "O", "O", "O", "O", "O", "O", "O", "N", "N", "C", "C", "C", "C", "C", "C", "C", "C", "C", "C", "C", "C", "C", "C", "C", "C", "C", "C", "C", "C", "C", "C", "C", "C", "C", "H", "H", "H", "H", "H", "H", "H", "H", "H", "H", "H", "H", "H", "H", "H", "H", "H", "H", "H", "H", "H", "H", "H", "H", "H", "H", "H", "H", "H", "H", "H", "H", "H", "H", "H", "H", "H", "H", "H", "H", "H", "H", "H", "H", "H", "H", "H", "H", "H", "H", "H", "H", "H", "H", "H", "H", "H", "H", "H", "H", "H"], "positions_angstrom": [[-4.30488, -2.17966, 1.39985], [4.41568, -1.39200, 1.14379], [2.47496, 7.17748, -0.65710], [4.42934, 6.43816, -0.87709], [3.10487, 5.62348, 0.72735], [1.27965, 4.38477, -1.31544], [-5.12335, -3.54904, 1.04262], [3.53053, -1.24859, -0.06446], [-0.21614, 3.05121, 5.07826], [5.30220, -0.15943, 1.64058], [-2.04166, 3.07789, 6.43578], [-5.53586, -1.14247, 1.57015], [3.58814, -1.63941, 2.53583], [-0.07746, 4.10692, 6.99654], [-3.84151, -2.41719, 2.96972], [5.51821, -2.59839, 1.05883], [3.48982, 3.90663, -1.86556], [-3.20821, -1.76014, 0.46151], [0.03991, 0.53083, -2.22758], [-0.93953, 0.19627, -6.02415], [-4.79905, -5.80036, 1.63100], [-5.32082, -1.47474, 4.63339], [3.18429, 6.03286, -0.55591], [2.56798, 4.95216, -1.55326], [1.48298, -0.31306, -6.14045], [4.66664, 1.12445, 3.56938], [5.37912, 2.95339, -3.07963], [2.11150, -2.68184, 4.07109], [-7.93845, -0.92861, 1.27249], [-4.44665, -4.72601, 0.63676], [6.15194, -2.86591, -0.14457], [-4.82094, -2.74166, 3.94996], [-6.57647, -1.12453, 0.56827], [-1.93239, 1.14268, -6.63068], [6.71874, -4.25994, -0.00613], [4.64810, 1.07432, 2.01764], [-0.55813, 4.43481, 8.26806], [2.88162, -2.83613, 2.75405], [0.24706, 0.28538, -6.82313], [-0.88946, 3.32107, 6.14544], [-1.47998, -1.18329, -6.02252], [-1.63718, 2.63512, -6.24110], [-0.91270, 2.51127, 3.92396], [-2.68763, -1.44611, -5.11838], [4.16859, 3.93831, -3.14503], [-5.42798, -0.55734, 4.05460], [1.40135, -1.36804, -5.87883], [-4.27000, -6.73562, 1.44796], [-6.63158, -2.04002, -0.02074], [-0.36477, 2.63730, 2.99017], [-5.65040, -3.30835, 3.52690], [-4.52751, -5.56137, 2.65922], [-1.60514, 4.73601, 8.30201], [2.57933, -2.04650, 4.82316], [3.61813, 1.13812, 1.66662], [-1.10685, 1.44622, 4.05074], [-0.04670, 5.25856, 8.76602], [-4.36370, -3.41211, 4.67765], [-6.29912, -1.77311, 5.01023], [7.56467, -4.27558, 0.68110], [2.15929, -3.04760, 1.96563], [4.73384, 4.85873, -3.29141], [3.70709, -3.54261, 2.84125], [-6.50253, -0.30244, -0.14363], [4.16849, 0.23515, 3.95552], [-0.77130, 0.14566, -1.76535], [-0.47447, 3.61862, 8.98564], [-2.03355, 1.12503, -7.71584], [4.30681, 2.02636, 4.06451], [-2.95489, 0.91568, -6.32895], [1.16692, -2.15923, 3.92027], [-8.07280, -1.83462, 1.86343], [7.16966, -4.52520, -0.96237], [-2.96869, -2.49894, -5.09300], [-8.83100, -0.82977, 0.65469], [-4.76857, -5.04090, -0.35588], [-3.60345, -0.93584, -5.41673], [-4.64913, -1.33073, 5.47967], [5.91508, 2.75085, -4.00690], [1.78554, 0.14098, -5.19684], [-5.86211, -6.04107, 1.63806], [-0.01743, 0.38735, -3.22569], [-2.50277, -1.13686, -4.08963], [-0.93527, 2.57590, -5.40928], [-0.02489, 1.53295, -2.11966], [0.04750, -0.24353, -7.75507], [-1.75808, -1.47988, -7.03385], [6.96806, -2.17358, -0.35130], [0.50581, 1.30756, -7.09932], [5.16266, 1.95483, -2.69999], [2.49186, 5.57931, -2.44150], [-1.92057, 2.90739, 3.79990], [-7.99981, -0.05648, 1.92344], [-1.02579, 3.22052, -6.92783], [2.31815, -0.34394, -6.84018], [5.45775, -2.81225, -0.98321], [6.04824, 3.46218, -2.38573], [3.45400, 3.79973, -3.95637], [0.89869, 0.17575, -1.83197], [5.20113, 1.97244, 1.74261], [-3.36700, -4.61617, 0.73872], [-0.59849, -1.76708, -5.75740], [5.66808, 0.89340, 3.93246], [1.93186, -3.65022, 4.53807], [5.95597, -4.95955, 0.33566], [-2.54306, 3.17302, -5.96156]]}
********

SO, here’s my question.  I’m married to this man for 15 years.  We have 2 kids and we do love each other dearly.  We did not know ADHD was affecting our marriage until last year when he was first diagnosed.  We’ve never EXPERIENCED being married while he receives both meds and therapy.  I’m not sure what that relationship even looks like!  I hate ultimatums because if he’s doing things due to threat of separation, then he may resent me.  With all his past reluctance and procrastination to seek help, and my own seething anger about how I’ve been treated, do I give him this last chance to show me he wants to really DO THIS and make some lasting changes?  I’m so EXHAUSTED from it all that I fear I’m making decisions because of non-ADHD spousal fatigue (which should be in the DSM-5 in my opinion).  Thoughts???

Calculated molecules that have nothing to do with the article =
........
(1)
A molecular structure, C8H13N2 at a distorted geometry, computed with wB97M-V/def2-TZVPD.

Values from the calculation:
- total charge = +1
- Kohn-Sham gap (hartree) = 0.3594
- highest occupied orbital energy (eV) = -13.22

CARTESIAN COORDINATES (ANGSTROEM)
1 C -1.574 0.564 0.806
2 C -1.168 -0.421 1.637
3 C -1.779 0.799 2.272
4 C -0.490 -1.156 -0.229
5 C 1.117 -0.240 1.199
6 C -0.724 0.458 -0.432
7 C 2.375 -0.678 0.551
8 C -1.234 0.893 -1.825
9 N 0.010 -1.132 1.118
10 N 0.656 0.941 -0.144
11 H -1.190 1.583 2.692
12 H -2.784 0.676 2.725
13 H -1.355 -1.762 -0.229
14 H 0.102 -1.733 -0.889
15 H 1.178 0.220 2.120
16 H 2.094 -1.147 -0.337
17 H 2.839 -1.458 1.187
18 H 3.045 0.199 0.423
19 H -0.458 0.877 -2.618
20 H -1.469 1.921 -1.689
21 H -2.121 0.234 -2.084
22 H 0.622 1.879 0.173
23 H 1.481 0.693 -0.795

(2)
A molecular structure, C3H2LiMgO3Tl at a distorted geometry, computed with wB97M-V/def2-TZVPD.

Values from the calculation:
- total charge = +1
- multiplicity = 2
- Kohn-Sham gap (spin up / spin down) (hartree) = 0.1500 / 0.2539
- highest occupied orbital energy (spin up / spin down) (eV) = -8.49 / -11.32

CARTESIAN COORDINATES (ANGSTROEM)
1 C -0.857 1.366 0.440
2 C -1.201 0.165 -0.079
3 O -0.685 2.433 0.885
4 H -1.585 0.203 -1.093
5 H -1.922 -0.397 0.504
6 Mg 2.866 2.005 2.252
7 Tl 0.868 4.016 2.127
8 O 0.140 -1.721 -0.489
9 C 0.818 -1.830 -1.483
10 O 0.990 -2.503 -2.415
11 Li 0.569 -3.738 -0.648

(3)
2 unconnected molecules or ions with the total composition C5H8N2 at a distorted geometry, computed with wB97M-V/def2-TZVPD.

Values from the calculation:
- total charge = 0
- Kohn-Sham gap (hartree) = 0.3373
- highest occupied orbital energy (eV) = -8.74

CARTESIAN COORDINATES (ANGSTROEM)
1 C 2.359 -0.559 0.263
2 N 1.077 -0.170 -0.311
3 C 0.724 1.196 -0.583
4 C -0.533 1.212 -0.073
5 C -1.061 -0.009 -0.284
6 C -2.384 -0.750 0.033
7 N -0.078 -0.888 -0.254
8 H 2.879 -0.481 -0.884
9 H 2.296 -1.722 0.854
10 H 2.906 0.459 1.357
11 H 1.384 2.055 -0.432
12 H -1.255 2.289 -0.155
13 H -3.229 -0.436 -0.546
14 H -2.633 -0.641 1.071
15 H -2.344 -1.830 -0.010

(4)
2 unconnected molecules or ions with the total composition C9H14 at a distorted geometry, computed with wB97M-V/def2-TZVPD.

Values from the calculation:
- total charge = 0
- SMILES string = Cc1ccccc1.CC
- Kohn-Sham gap (hartree) = 0.3710
- highest occupied orbital energy (eV) = -9.07

CARTESIAN COORDINATES (ANGSTROEM)
1 C -3.675 0.443 1.905
2 C -2.455 -0.128 2.666
3 H -3.317 0.996 1.037
4 H -4.295 -0.376 1.534
5 H -4.306 1.029 2.567
6 H -1.890 -0.773 1.990
7 H -1.778 0.669 2.960
8 H -2.866 -0.753 3.457
9 C 1.564 -1.498 -2.670
10 C 1.937 0.432 0.531
11 C 0.690 1.041 0.672
12 C 2.250 -0.383 -0.530
13 C 1.262 -0.613 -1.495
14 C -0.242 0.920 -0.344
15 C 0.070 0.080 -1.401
16 H 2.636 0.671 1.324
17 H 0.615 1.668 1.533
18 H 3.217 -0.835 -0.707
19 H -1.106 1.559 -0.356
20 H 2.594 -1.853 -2.564
21 H 1.514 -0.997 -3.636
22 H -0.672 -0.052 -2.161
23 H 0.959 -2.398 -2.779

(5)
........
So much for the calculated molecules =


If you agree to try a bit longer make it clear to him that you must see improvement and let him handle the rest. Set a firm date in your head and let him show you how committed he is to changing.   Don't get involved in making the appointments or picking up his meds.  Make him completely responsible for himself, the ball is in court.  Make it clear that his commitment to change is what stands between him and divorce. If he truly doesn't want to separate he needs perform not just talk about changing.    Stick to your timeline.  If he doesn't follow through or lets things slowly slide away, it would be time for the big conversation. 


My wife and I need something stronger than meds and therapy...We need more than a love that makes us faithful....We need a Spirit change (heart change), we need our minds renewed daily....We need a full time mirror...And his name is Jesus....

I hope the best for you and your husband...I have empathy for you for living on pin's and needles (wondering when the next blow up is coming)....And I have great empathy for him, not being able to control his emotions toward those he loves the most....I think I agree w/ adhd32....Based on your post, he is willing to look at himself, and has agreed to get help...That is something I and many here don't have...(just blame and denial)...

I will pray for your family
